Community nurse and her car

Surrey Downs Health & Care Virtual Ward Service

Provided by a Multi professional Team of clinical specialists providing safe and effective hospital care to patients in their own homes.

Service overview and benefits to patients

The Virtual Ward allows patients who meet a set of criteria to get hospital level care in their own home. This may prevent an admission to hospital or support a patient to leave hospital earlier.

Patients accepted on the virtual ward will receive the care and treatment they need which may include monitoring via telephone call or home visits by a member of the Multi-Professional Virtual Ward team.

The Virtual Ward team will support the detection of any changes or potential complications early on, allowing for timely intervention. By identifying issues before they escalate, appropriate care can be provided, preventing emergency situations and minimising the need for hospital admissions.

Being on a virtual ward can offer numerous benefits for physical health, mental well-being, and overall recovery;

  • Easy Access: Access healthcare services from the comfort of your home, regardless of your location or mobility.
  • Convenience and Comfort: Receive medical attention without needing to be admitted to hospital.
  • Reduced Risks of Hospital Associated Harm: Minimise exposure to hospital associated harm by staying in the safety of your own surroundings.
  • Personalised Care: Enjoy individualized care plans tailored to your specific needs for better outcomes and satisfaction.
  • Close Monitoring: Stay closely monitored enabling early detection of any health changes or complications.
  • Enhanced Communication: As well as home visits, connect with healthcare professionals via telephone where care, support and guidance can be provided.

Virtual Wards: an animation to describe how they work in the NHS

Find out more about Virtual Wards service by watching this animation video.

Virtual Ward team

The virtual ward team is led by consultants who are responsible for the care of the patients admitted to the virtual ward.

Pictured below are Dr Malin Farnsworth and Dr Christopher Sin Chan, Joint Clinical Director HomeFirst Services.

Dr Malin Farnsworth and Dr Christopher Sin Chan, Joint Clinical Director HomeFirst Services Surrey Downs Health Care Partnership

The virtual ward team comprises of a multi professional team of clinicians including;

  • Advance Care Practitioners
  • Doctors
  • Nurses
  • Paramedics
  • Pharmacists
  • Therapists

What is a Virtual Ward?

Virtual wards allow patients to get the care they need at home safely and conveniently, rather than being in hospital. The NHS is increasingly introducing virtual wards to support people at the place they call home, including care homes.

A virtual ward is a healthcare service that allows patients to receive medical attention, support, and monitoring from the comfort of their own homes, rather than being physically admitted to a traditional hospital ward.

The virtual ward model aims to provide personalised care plans, close monitoring, and timely interventions, similar to those received in a hospital setting. However, the virtual approach offers convenience, reduced exposure to hospital-acquired infections, and the ability to receive care from a distance. It can be particularly beneficial for patients with chronic conditions, post-operative recovery, or those who require ongoing monitoring and support.

The establishment of virtual wards within the NHS reflects a commitment to improve access to healthcare, optimise resource utilisation, and enhance patient outcomes while maintaining patient safety and comfort.

What can I expect if I am on a Virtual Ward?

When admitted to a virtual ward, patients can expect a range of services and support. Here is an overview of what a patient can typically expect:

Initial Assessment: Upon admission to the virtual ward, a healthcare professional will conduct an initial assessment, which may involve a home visit, video consultation or a phone call. They will gather information about your medical history, current symptoms, and any specific needs or concerns you may have.

  • Personalised Care Plan: Based on the assessment, a personalised care plan will be developed specifically for you. This plan outlines the treatments, medications, and interventions that are needed for your condition. It will also include any necessary monitoring or follow-up appointments.
  • Monitoring: Depending on your condition, you may be provided with monitoring devices to track your vital signs, such as blood pressure, heart rate, oxygen saturation, or glucose levels. These devices are easy to use and allow healthcare professionals to monitor your health more closely.
  • Regular Check-ins: The healthcare team will maintain regular communication with you through home visits, video consultations or phone calls. They will check on your progress, answer your questions, and provide medical attention, care, guidance or support as needed. These check-ins ensure that you receive continuous care and that any changes or concerns are addressed promptly.
  • Medication Management: If you require medications, the healthcare team will provide instructions on how to take them and may arrange for home delivery or prescription refills. They will monitor your medication regimen and adjust it if necessary, ensuring you receive the appropriate treatment.
  • Rehabilitation and Therapy: If you require rehabilitation or therapy, the virtual ward may provide guidance and resources for exercises or therapy sessions that can be done at home. They may also arrange virtual consultations with therapists or provide instructional videos to support your recovery process.
  • Ongoing Care and Follow-up: As your condition progresses, the healthcare team will adjust your care plan accordingly. They will schedule follow-up appointments to monitor your progress and ensure that you continue to receive appropriate care until you are ready to be discharged out of the virtual ward back to the care of your GP.

It's important to note that the specific services and medical procedures may vary depending on your individual medical needs. The healthcare team will provide detailed instructions and guidance specific to your situation to ensure you receive the best possible care.

How long will I be on the Virtual Ward

Patients can remain on our virtual ward for up to 14 days where required. However, most patients stay between 3 to 5 days.

What are the benefits of being on the virtual ward?

Physical Health Benefits

  • Reduced Hospital Associated Harm: Patients on a virtual ward lower their risk of any hospital associated harm e.g. exposure to infectious diseases commonly found in healthcare settings, promoting better physical health.
  • Close Monitoring: closely monitoring patients' vital signs and health status allows for early detection of any changes or complications, enabling timely intervention and promoting better physical outcomes.
  • Timely Interventions: With close monitoring, healthcare providers can identify potential issues promptly and take necessary actions. Early interventions can prevent the worsening of conditions, reduce the need for emergency hospital admissions, and facilitate a smoother recovery process.

Mental Well-being Benefits

  • Comfortable Environment: patients often prefer to be at home close to family, friends and pets. Remaining in the familiar and comforting environment of one's own home can positively impact mental well-being. Patients may experience reduced stress and anxiety associated with hospital stays, contributing to improved overall mental health.
  • Reduced Disruption to Routine: By avoiding hospital, patients can maintain their daily routines and stay connected with their support systems. This stability can help reduce stress and promote a sense of normalcy, which is beneficial for mental well-being.
  • Increased Autonomy and Control: Being on a virtual ward allows patients to actively participate in their own care. They have more control over their treatment process, leading to a greater sense of empowerment, autonomy, and improved mental well-being.

Overall Recovery Benefits

  • Personalised Care Plans: Virtual wards offer individualised care plans tailored to each patient's specific needs. This customised approach can enhance treatment effectiveness and improve overall recovery outcomes.
  • Enhanced Communication and Support: Regular communication with healthcare providers through virtual platforms, video consultations or telephone ensures that patients receive necessary care, guidance, support. This ongoing support fosters a sense of being cared for, contributing to overall recovery.
  • Convenient Access to Resources: Virtual wards provide easy access to educational resources, rehabilitation exercises, and post-treatment instructions. Patients can conveniently access and utilise these resources from home, facilitating their recovery process.

What to do If I am unwell? (In hours and out of hours)

​​​​​​If you are feeling more unwell, have new or worsening symptoms;

Monday to Sunday, 8am to 8pm, call 020 8296 4488 for;

  • New symptoms or changes that you were not expecting or feeling more unwell
  • Breathless when standing or moving 
  • Severe muscle aches
  • Shakes or shivers
  • New agitation/confusion
  • A sense that something is wrong

If out of Virtual Ward opening hours (8pm to 8am) call NHS 111 for;

  • New symptoms or changes that you were not expecting or feeling more unwell
  • Breathless when standing or moving 
  • Severe muscle aches
  • Shakes or shivers
  • New agitation/confusion
  • A sense that something is wrong

In an emegency call 999 or go to your nearest Accident and Emergency Department for;

  • Sudden onset chest pain 
  • Severe breathlessness (even when talking)
  • Coughing up blood 
  • Cold and sweaty with pale/blotchy skin
  • A rash that doesn’t fade when you apply pressure
  • Collapse/faint

This list is NOT exhaustive - if you feel you are experiencing an emergency, please call 999 immediately.

Virtual ward carers guide

As a carer, you already provide essential help, which is unpaid, to someone who could not manage without your support. 

You will be a vital team member if your loved one is admitted to a virtual ward. Supported by a team of clinical staff , you can expect full communication about all aspects of the care the person you look after will receive while they are on the ward. You should expect to receive help with things that are new to you or equipment provided to monitor how your loved one is doing on the ward and to have the chance to join in discussions about what will support and help their discharge from the virtual ward. You will be key, as their carer, to their progress as they recover and you should be asked for your consent to help care for them during the timme they are a patient.

This guide has been developed to support patients and carers (paid, unpaid, family/friends) with any information you may require while on the virtual ward.

Virtual Ward Carers Guide [pdf] 330KB

Information for referrers, GP’s and other care providers

Calculated molecules from another source follow:
........
# 1
Computed, not measured: 6 unconnected molecules or ions with the total composition C29H35F19IN2O10 in a non-equilibrium geometry, with the ωB97M-V functional and the def2-TZVPD basis.

Last column: Löwdin charge in e.
Geometry (Å):
I: -1.54461 3.04378 -1.24919  1.04
F: 5.15983 -3.35388 -1.47589  0.17
F: 8.96718 -2.73631 -3.49015  0.16
F: -2.69383 1.09403 2.93215  0.14
F: 3.77536 -2.24592 -2.72267  0.15
F: 11.09040 -2.96544 -3.83125  0.18
F: -9.35631 0.35011 2.26445  0.14
F: -7.54463 5.36585 4.86753  0.17
F: -0.05708 0.83343 0.66019  0.06
F: 5.35611 4.49096 -4.59274  0.19
F: -9.95999 -1.19565 0.87458  0.19
F: 3.31293 -4.27168 -2.12424  0.18
F: -6.93163 5.21659 2.79512  0.14
F: 3.39353 5.29847 -4.16072  0.17
F: -10.23173 -1.49227 3.00294  0.18
F: -8.95467 5.80999 3.28288  0.18
F: -0.67069 0.49042 3.33802  0.14
F: 4.74402 4.79574 -2.53978  0.17
F: 9.69361 -3.36510 -5.42132  0.17
F: -1.26321 -0.85201 1.34611  0.13
O: 4.90853 -5.13399 -4.11398  0.18
O: -7.64322 -2.45181 1.40560  0.18
O: -8.03657 2.81106 2.69057  0.16
O: 2.93481 2.88174 -2.68622  0.02
O: 10.29383 -5.08553 -2.45381  0.04
O: 3.95771 2.18989 -4.57512  0.18
O: -7.38914 -1.12809 3.21570  0.01
O: 5.75467 -3.04425 -4.26767  0.04
O: -9.14072 3.25314 4.60871  0.05
O: 9.27545 -5.79624 -4.33937  0.17
N: -0.95545 4.85837 1.79011  0.17
N: -1.40801 3.59726 1.72724  -0.04
C: -9.66297 1.90435 4.66505  -0.17
C: -9.43071 -0.97146 2.06732  -0.54
C: -1.26999 0.46520 1.11525  -0.34
C: -8.37085 3.53740 3.58116  -0.40
C: 10.23009 -6.41099 -1.88131  -0.19
C: 4.33135 4.43033 -3.75832  -0.55
C: 4.29703 -3.46129 -2.49500  -0.54
C: 2.27131 1.61013 -2.55090  -0.20
C: 9.89358 -3.48510 -4.11041  -0.55
C: 3.73604 3.00879 -3.73760  -0.40
C: -1.43818 1.18197 2.47726  -0.40
C: -0.04936 2.95574 3.54870  0.09
C: -4.37407 3.21141 2.27432  -0.05
C: -5.04406 -1.01078 2.57674  -0.06
C: 0.42474 4.25105 3.63168  0.06
C: -0.96653 2.64452 2.54783  -0.03
C: 11.36567 -7.27634 -2.37925  -0.06
C: -3.71591 2.75541 0.95765  -0.26
C: -0.06400 5.15998 2.69380  -0.04
C: 9.78578 -4.95291 -3.66394  -0.41
C: -6.07971 -1.67601 3.45681  -0.18
C: -2.42618 3.49597 0.65838  -0.66
C: -8.64717 0.94965 5.24993  -0.05
C: 5.01649 -4.00405 -3.74455  -0.41
C: 5.67913 -3.32383 -6.68633  -0.05
C: -8.03610 -1.61981 2.16491  -0.39
C: -7.94597 5.01784 3.64298  -0.55
C: 3.16462 0.58110 -1.89574  -0.06
C: 6.52974 -3.39516 -5.43770  -0.20
H: 5.22117 -2.33854 -6.77809  0.08
H: -5.07188 0.07124 2.71571  0.06
H: 12.32466 -6.79778 -2.18109  0.08
H: -4.04751 -1.37489 2.82525  0.08
H: -7.77009 0.86823 4.60786  0.06
H: 9.25937 -6.85397 -2.09770  0.13
H: 1.91959 1.26970 -3.52423  0.13
H: 1.40219 1.81761 -1.92906  0.07
H: 4.87829 -4.06232 -6.65926  0.08
H: -5.87870 -1.48290 4.50804  0.13
H: -6.09559 -2.75438 3.31069  0.13
H: -8.31970 1.29591 6.23053  0.09
H: 0.28263 6.17969 2.69211  0.14
H: -9.98195 1.59672 3.67108  0.10
H: 10.30002 -6.25629 -0.80749  0.13
H: 11.34517 -8.24209 -1.87656  0.08
H: 0.28907 2.20931 4.24081  0.14
H: -10.54388 1.97175 5.29772  0.13
........
So much for the calculated molecules:

Referrals to the service will be accepted from GPs, the ambulance service, NHS 111 and other health and social care professionals.

Patients already known to community services can self-refer. All referrals to virtual ward should be made via our Urgent Community Response (UCR) service.

To make a referral please call the Single Point of Access (SPA) telephone number 0208 296 4488 (Option 3) to ensure your call is logged centrally, and patients are triaged as soon as possible. 

Referrers from Secondary Care

Referrals are accepted between the hours of 8am to 7pm. Patients referred after 6pm will be followed up at home the following day.

The referring clinician should carry out a patient assessment to ensure patient meets the inclusion criteria.

The referring clinician should then call Surrey Downs Single Point of Access (0208 296 4488, option 3), request Virtual Ward Follow Up and provide patients details.

The SPA Administrator will confirm patient's identity & transfer the call to the Virtual Ward duty clinician. The person referring will be expected to outline the clinical plan and discuss the needs of the patient prior to acceptance onto the Virtual Ward.

Inclusion Criteria

  • Patient is over 18 years of age
  • Patient is registered to a GP within Surrey Downs
  • Consent by patient or deemed to be in their best interest
  • Step down patient's condition is on improving trajectory or NEWS2 scores known and acceptable to admitting Virtual Ward clinician

Exclusion Criteria

  • Requires immediate medical attention to stabilise their condition for assessment
  • Needs acute / complex diagnostics and clinical intervention in hospital
  • Is experiencing a mental health crisis (as primary concern) and requires referral and assessment by a specialist mental health team
  • Patient unable to take medication independently or with help of relative/carer
  • Patient is pregnant

GP’s and other Care providers

GP’s and other care providers with Access to community systems can access information and updates about their patients.

If you have an urgent query about a specific patient admitted to the virtual ward please call Surrey Downs Single Point of Access (0208 296 4488, option 3)

Unrelated to this entry: data records:
____________
(1)
Entry from the Open Molecules 2025 dataset: a structure of composition C37H38BN4O4PTi (the ωB97M-V functional and the def2-TZVPD basis).

Summary:
Orbital gap, eV: 8.026
Energy relative to the best compared isomer or geometry (same formula, charge and spin), kJ/mol: 51.32
E, hartree: -3168.029151
E_LUMO, eV: -6.24

ORCA input file:
```
! wB97M-V def2-TZVPD RIJCOSX def2/J DEFGRID3
* xyz 2 1
Ti -0.654 1.059 0.360
O -4.669 1.544 0.486
C -3.569 1.132 0.265
N -2.392 1.603 0.855
C -2.545 2.599 1.922
C -1.308 2.574 2.766
C -1.296 3.036 4.063
C -0.114 2.975 4.781
C 1.028 2.451 4.182
C 0.938 1.987 2.899
N -0.208 2.047 2.194
C -3.288 -0.027 -0.629
C -4.302 -0.745 -1.205
C -3.970 -1.888 -1.918
C -2.639 -2.264 -2.001
C -1.680 -1.483 -1.395
N -1.985 -0.357 -0.734
H -3.429 2.377 2.512
H -2.687 3.590 1.504
H -2.203 3.436 4.497
H -0.081 3.324 5.807
H 1.967 2.382 4.716
H 1.792 1.547 2.407
H -5.322 -0.405 -1.069
H -4.741 -2.489 -2.384
H -2.338 -3.164 -2.523
H -0.643 -1.772 -1.421
O -0.565 4.078 0.326
N 0.281 3.235 -0.396
C 1.114 3.837 -1.142
C 2.066 3.202 -2.058
C 2.992 4.057 -2.651
C 3.913 3.579 -3.566
C 3.903 2.234 -3.900
C 2.982 1.378 -3.312
C 2.053 1.849 -2.392
P 0.848 0.624 -1.745
C 1.988 -0.675 -1.180
C 2.139 -1.961 -1.681
C 3.137 -2.789 -1.177
C 3.981 -2.344 -0.171
C 3.817 -1.069 0.360
C 2.822 -0.245 -0.138
C -0.064 0.236 -3.267
C 0.316 -0.692 -4.232
C -0.470 -0.880 -5.364
C -1.626 -0.135 -5.548
C -1.994 0.819 -4.607
C -1.219 0.997 -3.471
H -0.367 4.991 0.084
H 1.129 4.923 -1.118
H 2.991 5.111 -2.386
H 4.631 4.253 -4.017
H 4.610 1.848 -4.624
H 2.998 0.327 -3.575
H 1.493 -2.336 -2.462
H 3.258 -3.788 -1.583
H 4.769 -2.990 0.203
H 4.475 -0.718 1.147
H 2.735 0.767 0.238
H 1.232 -1.259 -4.136
H -0.167 -1.607 -6.110
H -2.235 -0.289 -6.432
H -2.884 1.422 -4.758
H -1.518 1.738 -2.741
C -2.089 -2.124 3.797
C -0.619 -2.022 3.432
C 0.248 -2.217 4.656
O -0.421 -0.650 2.953
B -0.337 -0.679 1.596
O -0.250 -1.934 1.072
C -0.208 -2.897 2.194
C 1.204 -3.431 2.277
C -1.176 -4.010 1.862
H -2.305 -1.426 4.608
H -2.347 -3.130 4.137
H -2.728 -1.868 2.947
H -0.090 -1.546 5.449
H 1.297 -2.006 4.449
H 0.162 -3.244 5.025
H 1.923 -2.628 2.442
H 1.449 -3.920 1.336
H 1.302 -4.164 3.083
H -2.155 -3.620 1.574
H -1.305 -4.674 2.720
H -0.780 -4.605 1.035
*
```

=====

(2)
Entry from the Open Molecules 2025 dataset: a structure of composition C37H38Cl5FeP2Se2Te (the ωB97M-V functional and the def2-TZVPD basis).

Summary:
Orbital gap (alpha / beta), eV: 7.862 / 6.824
Energy relative to the best compared isomer or geometry (same formula, charge and spin), kJ/mol: 88.90
E, hartree: -10750.716322
E_LUMO (alpha / beta), eV: -2.22 / -3.30

ORCA input file:
```
! wB97M-V def2-TZVPD RIJCOSX def2/J DEFGRID3
* xyz 1 5
Fe -0.284 -0.007 0.064
Cl -2.251 2.960 -1.424
C -3.006 1.461 -1.050
C -2.315 0.549 -0.258
C -3.067 -0.558 0.126
Cl -2.317 -1.611 1.261
C -4.333 -0.861 -0.347
Cl -5.132 -2.310 0.104
C -4.946 0.042 -1.212
Cl -6.478 -0.323 -1.893
C -4.295 1.233 -1.530
Cl -5.082 2.385 -2.535
____________

When a patient is clinically fit for discharge from the virtual ward a discharge summary, advice on medications and liaison with community care will be communicated as effectively as if the patients was discharged from hospital.